From Cinco de Mayo to Yom HaAtzmaut
Written by Arielle Kandel
Religious and ethnic parades, festivals, street fairs, and other events happen all year round across the five boroughs of New York City, and present joyous opportunities for residents to celebrate their identity and heritage, strengthen community bonds, and share their culture with others. Earlier this month, two of NYC’s communities celebrated an important holiday at the very same time.
One of these holidays, you may have guessed, was the Cinco de Mayo, celebrated every year in hundreds of cities and towns across the United States. The oldest and most important celebrations are held in Los Angeles, San Francisco, and in other cities in the US Southwest, home to large Mexican communities and where the holiday originated. While Mexican flags are commonly waved in hundreds at Cinco de Mayo parades, the celebration shouldn’t be confused with Mexico’s Independence Day. It is observed to commemorate the Battle of Puebla of May 5, 1862, when the Mexican army won an unlikely and decisive victory over French forces. “Far up in the gold country town of Columbia,” a professor at UCLA writes, Mexican miners were so happy at the news of the Mexican army’s victory over the French in Puebla “that they spontaneously fired off rifles shots and fireworks, sang patriotic songs and made impromptu speeches.” Along the years, the holiday grew in popularity and became a way for Mexican Americans to celebrate their culture and heritage. From the 1980s it also increasingly started to appeal to non-Mexican Americans, as beer and liquor companies, especially, began to promote it. In 2005, the US Congress passed a resolution recognizing the “historical significance of the Mexican holiday of Cinco de Mayo,” and serving “as a reminder that the foundation of the United States is built by people from many nations and diverse cultures who are willing to fight and die for freedom.”
Within recent decades, the population boom of Mexican immigrants in New York City has made them the third largest ethnic group, after immigrants from the Dominican Republic and China. According to the latest statistics available, there are close to 200,000 Mexican-born residents in New York, forming over 2 percent of the city’s total population, and many more children and grandchildren of Mexican immigrants. The most densely Mexican-populated neighborhoods in New York City include Queen’s Corona and the surrounding neighborhoods of Jackson Heights and Elmhurst, Brooklyn’s Bushwick and Sunset Park, and the Washington Heights and East Harlem in Upper Manhattan.
This year in New York, one way to celebrate Cinco de May was to enjoy a Mexican bite or refreshing cocktail at one of the dozens of restaurants and bars advertising special menus and beverages in honor of the holiday.

+++
Entry from the Open Molecules 2025 dataset: a gas-phase ion, C24H32FN4O3 (charge +1) (ωB97M-V with the def2-TZVPD basis set).

```
64
Properties=species:S:1:pos:R:3:forces:R:3
F -0.16035 -9.62325 2.71060 0.0 0.1 0.0
O -0.19382 1.84791 0.68012 0.0 0.1 -0.2
O -0.30613 -1.85125 0.14363 0.0 0.2 -0.3
O -1.43986 6.00537 -4.68758 -0.2 -0.1 0.2
N 2.48230 0.84437 0.38506 -0.4 0.1 0.1
N -0.72800 -3.51386 1.59088 0.0 -0.4 -0.3
N -0.83375 0.11235 1.93870 -0.1 0.1 0.2
N 1.30864 2.51693 -1.31864 -0.5 0.1 0.2
C -1.62903 -7.82376 3.06571 0.2 -0.2 0.0
C -0.78883 -5.57674 2.85704 0.0 0.1 0.0
C 0.63136 3.42621 -2.23003 -0.2 0.4 -0.4
C 0.69134 -7.44433 2.49801 0.0 -0.2 0.0
C 1.28051 3.94828 -3.33599 -0.1 -0.2 0.3
C -0.70673 5.17078 -3.93485 0.1 -0.2 0.3
C -1.00310 -4.08608 2.89746 -0.1 0.0 0.3
C -1.83298 -6.45623 3.10964 0.1 0.1 0.0
C -0.69021 3.76798 -1.97121 0.2 -0.1 0.0
C -0.86028 6.60443 -5.82819 0.1 0.1 -0.3
C 1.53549 1.17266 -1.89665 0.2 -0.7 -0.1
C 2.50160 0.38831 -0.97765 0.1 0.0 -0.2
C 0.47118 -6.08147 2.55124 -0.1 0.0 0.1
C -0.54620 -2.22746 1.27532 -0.1 0.1 0.3
C 1.53091 0.26055 1.28995 0.2 0.0 0.0
C 2.85665 2.23748 0.53987 0.3 0.0 0.1
C 0.08976 0.78170 1.24726 0.2 -0.2 0.2
C 0.62012 4.81756 -4.18515 -0.2 0.2 -0.2
C -0.36659 -8.29906 2.75849 -0.1 0.2 0.0
C -0.63200 -1.22448 2.44324 0.2 -0.1 -0.3
C -3.09658 -0.13865 0.95947 0.2 0.1 0.1
C -2.20754 0.60222 1.95073 -0.4 0.3 -0.1
C -1.35232 4.62954 -2.81510 0.1 0.2 -0.3
C 2.55289 3.04903 -0.73174 0.5 0.2 0.5
H 2.24199 -0.66961 -1.00665 0.1 0.0 -0.1
H 1.53523 -0.80998 1.09195 0.0 0.1 0.2
H 1.14744 5.21413 -5.03689 0.0 0.1 -0.1
H -2.66868 -0.09053 -0.03861 0.0 0.0 -0.1
H -1.47412 -1.47415 3.08920 0.1 0.0 0.1
H -2.42977 -8.51765 3.26380 -0.1 -0.1 0.0
H -2.03590 -3.86923 3.19631 0.1 0.0 0.1
H 1.28763 -5.40174 2.35630 0.1 0.1 0.0
H -2.37663 4.90995 -2.63329 -0.1 0.0 0.0
H 3.93186 2.30448 0.75332 -0.1 0.2 0.0
H -2.59432 0.49896 2.96811 0.1 0.0 0.0
H 0.65528 2.33704 -0.47076 0.3 0.0 -0.4
H -1.64007 7.23118 -6.25593 0.1 0.0 0.0
H 0.28566 -1.28500 3.03646 -0.1 -0.1 0.0
H 1.66269 -7.84944 2.26451 0.1 -0.1 0.0
H 3.36490 2.96460 -1.45619 -0.1 0.0 0.0
H -2.81417 -6.07426 3.34805 -0.1 0.0 0.0
H 2.30705 3.69021 -3.54736 0.1 0.0 0.0
H 0.56892 0.67042 -1.96574 0.0 0.2 0.0
H -4.08076 0.32016 0.94133 -0.1 0.0 0.0
H -0.32806 -3.64045 3.63627 -0.1 0.0 0.0
H -0.69210 -4.16656 0.81806 0.0 0.1 0.0
H -3.21010 -1.18517 1.23241 -0.1 -0.1 0.0
H -2.17245 1.66257 1.69701 0.0 -0.2 0.2
H 2.31866 2.66334 1.38859 0.0 0.0 -0.1
H 3.52747 0.49398 -1.34478 -0.1 -0.1 -0.1
H 2.40899 4.10264 -0.48947 0.0 -0.1 -0.1
H 1.89256 0.42309 2.31346 -0.1 -0.1 0.0
H -0.55631 5.85349 -6.56266 0.0 0.0 0.0
H -0.00264 7.22727 -5.55913 0.0 0.0 0.0
H 1.95278 1.26898 -2.90056 -0.1 0.1 0.1
H -1.19148 3.36026 -1.10679 -0.1 0.0 0.1
```
Forces are in eV/Å.

Output
total charge = +1
molar mass = 443.54 g/mol
E_tot = -40222.74817 eV
orbital gap = 9.6 eV
SMILES string = CCN(CC(=O)NCc1ccc(F)cc1)C(=O)CN1CC[NH+](c2ccc(OC)cc2)CC1
+++
So much for the quantum chemistry results
“Cinco de Mayo,” by Paul Stein is licensed under a Creative Commons Attribution 4.0 International License.
Members of the Mexican community and other more curious New Yorkers were also able to enjoy and participate in one of the many cultural events that were offered over the weekend preceding the holiday, falling this year on Monday, and in the following days. In Queens, the Flushing Town Hall and Queens Museum hence proposed activities for families and kids, including piñata making and music workshops, performances by traditional Mariachi dance groups from Mexico, storytelling, and more. In Manhattan, the traditional Cinco de Mayo parade took place in the Upper West Side on Sunday, May 4. As I got closer to the starting point of the parade, Central Park West disappeared under a sea of green, white, and red flags, with the sounds of music and singing filling the air. Mariachi bands with colorful costumes danced down the street, and onlookers on the sidelines, Mexicans and other New Yorkers alike, cheered and clapped their hands. Many come every year, as to a camp or school reunion, to catch up with relatives and friends.
As the parade drew to a close, it was just the right time for me to head out to another commemoration starting at sundown, Yom HaZikaron or Israel’s official Memorial Day, which happened to fall this year on the very same date of the Cinco de Mayo. The Israeli community in New York is of course much smaller than the Mexican community – according to the latest data available, there are around 30,000 Israeli adults living in the New York area, including the five boroughs, Westchester, and Long Island. But it shares its Jewish ethnic and religious identity and heritage with American Jews, who number over 1.5 million people in New York alone – making it the world’s second largest Jewish city, after metropolitan Tel Aviv.
Yom HaZikaron pays homage to Israeli fallen soldiers and civilian victims of political violence and terrorism since the earliest waves of settlement in the Biblical Land in the late 19th century. In Israel, the commemoration starts at sunset with the ringing of a one-minute siren. Israelis throughout the country virtually stop everything and stand in silence, commemorating the fallen and showing respect. Another two-minute siren is sounded at eleven the following morning, marking the opening of official memorial ceremonies and private remembrance gatherings at cemeteries. Radio stations and TV channels play sad music throughout the day. Yom HaZikaron draws to a close at sunset, when it makes transition to a joyous celebration, Yom HaAtzmaut or Israel’s Independence Day. At official celebrations, melancholic songs and candles make place for fireworks, loud music, and dance. Having these two days immediately follow each other is a powerful symbol, intended to remind Israelis and Jews of the price paid for the establishment of the Jewish state, while rejoicing and valuing freedom and independence all the more intensely.
Yom HaZikaron and Yom HaAtzmaut are also celebrated outside of Israel, although there more emphasis is usually put on cheerful celebrations for Israel’s Independence Day. Still, at the Israeli Consulate in New York, a Memorial Day service was attended by hundreds of people on Sunday night, including Israeli families living in New York, American Jews, and others. And as for the Cinco de Mayo, the days preceding and following the holiday were also the occasion for communities and local organizations across the city to offer a variety of cultural and social events. In the Upper West Side, a stronghold of the Israeli and Jewish community, synagogues, schools, and Jewish organizations organized for the second year in a row a wide range of activities for the community to come together, learn about the rich and complex culture and history of Israel, and celebrate. In Riverdale in the Bronx, another neighborhood home to a substantial Jewish population, the Bronx Israel Independence Day proposed Israeli dancing, food, and other performances and festivities. In Brooklyn, for the first time more than a dozen Jewish organizations came together to host an ambitious weeklong celebration, with films, lectures, parties, and many more cultural events.The highlight of the week was a much-anticipated concert by the Idan Raichel Project, an Israeli singer and musician blending traditional Hebrew texts with Arab and Ethiopian sounds into an enthralling experience.
(These records of molecules were left in the text by mistake)
'''
1.
Entry from the OMol25 dataset: a 16-piece molecular cluster, C72H187N11O27 overall (ωB97M-V with the def2-TZVPD basis set).

Summary:
* molar mass: 1639.34 g mol⁻¹
* gap between HOMO and LUMO: 8.342 eV
* LUMO: 0.293 eV

Last column: Mulliken charge in e.
CARTESIAN COORDINATES (ANGSTROEM)
C 0.2337 -12.5869 3.8907  -0.78
O 0.2126 -11.6996 5.0041  -0.28
C 0.4176 -10.3736 4.5922  -0.57
C 0.6360 -9.6717 5.9163  -0.80
N -0.7317 -9.3594 6.5256  -0.34
C -0.6361 -8.7880 7.8633  -0.57
C -2.1130 -8.6101 8.3091  -0.46
O -2.2245 -8.1871 9.7037  -0.30
C -3.5423 -7.8350 10.0475  -0.76
H 0.0517 -13.6207 4.1844  0.25
H 1.1638 -12.5419 3.3242  0.30
H -0.5390 -12.3285 3.1667  0.32
H -0.3194 -9.9006 3.9432  0.36
H 1.3571 -10.2117 4.0638  0.41
H 1.2511 -8.7907 5.7330  0.45
H 1.3815 -10.2550 6.4568  0.33
H -1.1253 -10.2895 6.5332  0.28
H -0.0380 -7.8797 7.7898  0.32
H -0.1770 -9.5893 8.4422  0.35
H -2.5675 -9.5845 8.1306  0.25
H -2.4734 -7.8441 7.6224  0.34
H -3.9572 -7.0709 9.3901  0.32
H -3.5259 -7.3826 11.0390  0.27
H -4.3463 -8.5709 10.0331  0.31
C 10.0303 -8.9823 -9.2316  -0.78
O 10.4612 -7.6171 -9.2181  -0.29
C 9.4784 -6.7313 -8.6694  -0.53
C 10.0116 -5.2621 -8.7817  -0.71
N 10.1071 -4.6633 -10.1129  -0.39
C 10.4990 -3.2483 -10.3128  -0.68
C 10.6142 -2.8622 -11.7632  -0.43
O 11.4408 -3.7744 -12.3439  -0.27
C 11.9895 -3.4061 -13.6257  -0.83
H 9.6993 -9.2865 -8.2386  0.31
H 10.8592 -9.6653 -9.4177  0.27
H 9.2042 -9.2449 -9.8924  0.30
H 9.4401 -6.9070 -7.5943  0.35
H 8.5362 -6.9565 -9.1689  0.37
H 11.0324 -5.3525 -8.4103  0.34
H 9.4625 -4.7355 -8.0012  0.40
H 10.7372 -5.2045 -10.6874  0.28
H 11.4769 -3.3285 -9.8382  0.40
H 9.7902 -2.5403 -9.8835  0.32
H 11.0981 -1.8864 -11.8034  0.36
H 9.6159 -2.9589 -12.1901  0.32
H 11.1836 -3.3836 -14.3593  0.32
H 12.6710 -4.1905 -13.9547  0.26
H 12.5388 -2.4766 -13.7754  0.30
C 1.3969 -0.7533 -10.1715  -0.61
O 0.8688 0.5223 -10.6777  -0.36
C -0.5726 0.5738 -10.8172  -0.50
C -1.3150 1.1044 -9.6002  -0.59
N -1.1086 0.4651 -8.3592  -0.27
C -2.0051 -0.5743 -8.0264  -0.64
C -3.3858 -0.0712 -7.5268  -0.64
O -4.1365 0.5914 -8.5153  -0.28
C -5.3298 1.2642 -7.9964  -0.76
H 1.0964 -0.8509 -9.1283  0.19
H 2.4854 -0.7151 -10.1277  0.27
H 1.1098 -1.6643 -10.6967  0.28
H -0.9057 -0.3897 -11.2032  0.29
H -0.8404 1.3222 -11.5630  0.35
H -2.3607 1.2882 -9.8469  0.28
H -0.9834 2.0788 -9.2415  0.35
H -0.1947 0.2717 -7.9753  0.27
H -1.5988 -1.1874 -7.2218  0.48
H -2.1706 -1.3057 -8.8175  0.28
H -3.2676 0.5485 -6.6379  0.37
H -3.9009 -0.9551 -7.1508  0.36
H -5.0033 1.9536 -7.2179  0.35
H -6.1102 0.5851 -7.6530  0.27
H -5.7064 1.9037 -8.7948  0.25
C 4.6937 12.6895 -6.1539  -0.72
O 4.3024 11.4787 -6.8627  -0.32
C 4.5247 10.2845 -6.0649  -0.62
C 4.0963 9.0559 -6.8746  -0.69
N 4.8588 8.8246 -8.0895  -0.31
C 4.2590 7.8878 -9.0629  -0.81
C 5.2724 7.7885 -10.2959  -0.51
O 5.4071 9.0924 -10.7118  -0.33
C 6.2990 9.4303 -11.7900  -0.79
H 5.7784 12.7105 -6.2597  0.30
H 4.2637 12.6798 -5.1523  0.29
H 4.3025 13.6027 -6.6024  0.24
'''
The Cinco de Mayo and Yom HaZikaron/Yom HaAtzmaut celebrations, although celebrated by two very different communities, have much in common: they are a way for members of these communities to strengthen inner bonds, and to share with other residents the importance of, and their pride in their historic, ethnic, cultural, and sometimes religious heritage.
As we continue our exploration of New York City’s ethnic neighborhoods and immigrant communities in the coming weeks and months, we’ll have other opportunities to discover ethnic and cultural processions, festivals, and other events. In the mean time, stay tuned for next week’s post, which will delve into past and present-day Norwood, a little-known neighborhood in the Bronx.